Why Board Certification (by the American Board of Plastic Surgery) is Critical When Choosing a Plastic Surgeon
**What comes next are molecular data, not part of the entry**
'''
(1)
{
  "formula": "C30H50BrFeN3P2S",
  "method": "wB97M-V/def2-TZVPD",
  "homo_lumo_gap_ev": [6.99, 6.15],
  "de_lowest_ev": 1.5667,
  "energy_ev": -170214.7582,
  "spin_multiplicity": 5,
  "homo_ev": [-13.25, -13.40],
  "s2": 6.062,
  "charge": 2,
  "e_lumo_ev": [-6.3, -7.3],
  "symbols": ["Br", "Fe", "S", "P", "P", "N", "N", "N", "C", "C", "C", "C", "C", "C", "C", "C", "C", "C", "C", "C", "C", "C", "C", "C", "C", "C", "C", "C", "C", "C", "C", "C", "C", "C", "C", "C", "C", "C", "H", "H", "H", "H", "H", "H", "H", "H", "H", "H", "H", "H", "H", "H", "H", "H", "H", "H", "H", "H", "H", "H", "H", "H", "H", "H", "H", "H", "H", "H", "H", "H", "H", "H", "H", "H", "H", "H", "H", "H", "H", "H", "H", "H", "H", "H", "H", "H", "H", "H"],
'''
**So much for the molecular data**
Elective Cosmetic Surgery … Once you have reached the point that you are now ready to decide who will operate on your face or body, it is indeed a “big deal!” Unfortunately, some people choose their electrician, plumber, hairdresser, and even auto mechanic with more care and research than they use in choosing a surgeon. You may ask the opinion of friends you trust, of acquaintances who have similar needs (or experience with a certain provider), a caring family physician, or on the basis of an advertisement that draws you to a certain website. Then, during a consultation where the patient finds out the doctor does indeed perform the requested operation(s), the doctor or his/her staff inform you the doctor is “Board Certified.”

Board certification is obviously important–virtually every doctor who advertises himself or herself as a “cosmetic surgeon” lists “Board-certified” as part of their credentials and list of attributes. So it must be important, right? And it must imply that the doctor is fully trained and “qualified” to perform the requested operation. For example, certainly you must be a fully-trained and appropriately-board-credentialed cardiac surgeon to operate on the heart, correct? It might be natural to assume the same applies to cosmetic surgery. HINT: It isn’t! So, what is Board Certification?
Every doctor (MD or DO) who graduates from medical school has earned their medical degree: MD stands for Medical Doctor, DO for Doctor of Osteopathy, both of whom diagnose illness, treat patients with prescription medicines, and perform operations, but not until they have undergone much more training after medical school.
(By the way, other health care professionals use the term doctor, such as DC—Doctor of Chiropractic, or OD—Doctor of Optometry, and there are now practitioners in Holistic Care, Naturopathic medicine, or Traditional Chinese Medicine who sometimes use the term Doctor. None of these providers has the training or credentials to perform surgery, whether in a hospital or a private clinic.)
After graduation from medical school, most MDs and DOs complete an internship year, after which each new doctor (regardless of specialty chosen) must pass a test given by the National Board of Medical Examiners. If the doctor passes, he or she is now certified by the National Board of Medical Examiners and is eligible to practice in the United States as a general practice physician.
However, in today’s world, there are very few “general practitioners” who provide medical care without additional residency training in one of 24 core areas. Most doctors apply for, and if accepted, complete a residency training program of at least 2 or more additional years after internship, in their choice of medical specialty: Internal Medicine, Family Practice, Surgery, Psychiatry, Pediatrics, or Radiology, to name a few. Additional sub-specialty training (often called a Fellowship) may be necessary to become Board-certified in Neurosurgery, Thoracic Surgery, or Plastic Surgery. There are 24 physician specialties that make up the American Board of Medical Specialties (ABMS), including all of those listed above. A total of 10 surgical specialties or sub-specialties, and 14 medical specialties or sub-specialties, make up these 24 areas of training and expertise within the ABMS.
ABMS Member Boards (24)
- American Board of Allergy and Immunology
- American Board of Anesthesiology
- American Board of Colon and Rectal Surgery
- American Board of Dermatology
- American Board of Emergency Medicdine
- American Board of Family Medicine
- American Board of Internal Medicine
- American Board of Genetics and Genomics
- American Board of Neurological Surgery
- American Board of Nuclear Medicine
- American Board of Obstetrics and Gynecology
- American Board of Ophthalmology
- American Board of Orthopedic Surgery
- American Board of Otolaryngology
- American Board of Pathology
- American Board of Pediatrics
- American Board of Physical Medicine and Rehabilitation
- American Board of Plastic Surgery
- American Board of Preventive Medicine
- American Board of Psychiatry and Neurology
- American Board of Radiology
- American Board of Surgery
- American Board of Thoracic Surgery
- American Board of Urology
(You may note there is NO “American Board of Cosmetic Surgery” within the 24 ABMS Medical Specialty Member Boards.)
Each of these 24 ABMS-member Boards set their individual standards for quality practice in that specialty, and each sets membership criteria (proper and complete years of residency training, licensure, and rigorous oral and written examinations). Since specialties differ so widely, the criteria that make up these tests are quite different. What makes one doctor a good family practitioner does not necessarily make him or her a competent neurosurgeon. Similarly, just being Board-certified in one specialty does not guarantee training, competence, or expertise in cosmetic surgery. Board certification does indeed indicate expertise and a set of standards that have been met—but in WHAT SPECIALTY is the physician certified? So the question that should be asked is not “Are you Board-certified?” but 3 separate and distinctly joined questions: “Are you Board-certified?” “By what specialty Board?” and “Is that an ABMS member Board?” The last of these 3 questions is rarely asked, but will prove to be the most important one, as you will read below.
It may surprise you that every doctor’s state license reads the same: they all allow the doctor to practice “Medicine and Surgery.” State medical licenses do NOT regulate residency training. The individual doctor’s practice in a chosen specialty is based on residency and fellowship training, meeting the criteria for Board certification in that specific specialty, and then (if they practice in a hospital or clinic) credentials committees and peer review that permit practice in that specialty. Practice in each specialty includes detailed lists of permitted procedures; for instance, a MD who is fully trained and Board Certified in Internal Medicine is not allowed to perform surgical procedures, and would be severely disciplined and perhaps dismissed from the hospital staff if he or she did so. From a state license point of view, however, it is legal for any physician to perform any procedure or prescribe any medication (though it may well be unethical or improper to do so outside one’s training or expertise).
It may also surprise you that Cosmetic Surgery is NOT one of the 24 ABMS Boards. The American Board of Plastic Surgery is recognized by the American Board of Medical Specialties (ABMS), which has approved medical specialty boards since 1934. There is no ABMS recognized certifying board with “cosmetic surgery” in its name. Doctors of various specialties perform cosmetic operations. For instance, an ABMS-Board-certified Ophthalmologist may appropriately perform cosmetic eyelid surgery, particularly if they have taken additional fellowship training in Oculoplastic Surgery. An ABMS-Board-certified (General) Surgeon may appropriately perform tumor or skin cancer removal, but does not have the specific training to perform more complex reconstructive surgery. An ABMS-Board-certified Otolaryngologist (ENT doctor) might appropriately perform cosmetic rhinoplasty or facial surgery, but has not received the complete and appropriate training to perform breast implants, liposuction, or abdominal surgery.
Dermatology training after medical school may include a first year of transitional (flexible) program, Internal Medicine, Pediatrics, OB/GYN, Surgery, Emergency Medicine or Family Medicine, followed by 3 years of Dermatology residency. This shows that Dermatologists’ true surgical experience is correspondingly variable and usually quite limited. Many Dermatology programs now include “Dermatologic Surgery” in their training descriptions and certificates, but the actual amount of true surgical training that Dermatologists receive is extremely variable, usually quite minimal, and almost always from other Dermatologists, not surgery or plastic surgery professors. Also, learning mole removal or treatment of skin cancer is a minuscule slice of complete surgical or plastic surgical training. That being said, some ABMS-Board-certified Dermatologists may receive some training in cosmetic surgical procedures (often in weekend courses or at yearly meetings) and may perform a few select procedures reasonably well. But they have not completed a surgical residency or fellowship in ANY surgical discipline, or else they would be eligible for board certification by the ABMS Board that regulates the specific surgical specialty.
Thus, Dermatologists (certified by the American Board of Dermatology) can state they are “board-certified” (in Dermatology, an ABMS member Board) and they can self-designate (and legally practice) as a “cosmetic surgeon,” but not with the same credential committee oversight and peer review of American Board of Plastic Surgery-certified plastic surgeons. And usually in their own offices, since they often cannot obtain plastic surgery credentials at most hospitals. That is why such plastic surgeon “wanna-bees” created their own (non-ABMS) “American Board of Cosmetic Surgery” and granted themselves “Board-certification in Cosmetic Surgery!” This “board” also admits Gynecologists, General Surgeons, ENT doctors, and physicians of other ABMS specialties for “Board-certification in Cosmetic Surgery.” The American Board of Cosmetic Surgery is NOT an ABMS member Board!
Plainly-stated, it is a group of physicians of various specialty training who wish to claim “Board-certification” in cosmetic surgery, since they do not wish to advertise the fact that they do NOT have complete plastic surgical training, have trained in other areas of medicine, but still want to be thought of as “specialists in cosmetic surgery.” Misleading? Yes, and unfortunately, intentionally so.
ENT doctors may become Board-certified by the American Board of Otolaryngology, and may subspecialize by completing additional training in Neurotology, Pediatric Otolaryngology, Sleep Medicine, or Plastic Surgery Within the Head and Neck. The latter training is less than half of the full Plastic Surgery subspecialty training program of at least 3 years, but does allow these ENT physicians to receive certification of Plastic Surgery Within the Head and Neck. They often designate themselves as Facial Plastic Surgeons, but there are those less ethical among these doctors who omit the “Facial” in their descriptor, especially at dinner parties where their claim of being a “Plastic Surgeon” sometimes leads them to consider taking on breast augmentation, liposuction, or tummy tuck procedures (although they have no training or experience in these procedures). ENT is a recognized pathway to plastic surgical fellowship training, but this takes 3 additional years of Plastic Surgery subspecialty training after ENT training. However, these physicians then become fully-trained plastic surgeons and are eligible for certification by the American Board of Plastic Surgery. The 1-2 years of additional plastic surgical sub-specialty training is a huge differentiation between “Facial plastic surgeons” and fully-trained “Plastic Surgeons.”
Most “real” plastic surgeons are proud of their training and are eager to present their residency and fellowship credentials and certificates that show exactly which ABMS Board they are members of, and where and how long they studied plastic surgery, which includes reconstructive and cosmetic surgery of the entire body, and requires a minimum of 6 years of full-time surgical training after medical school. Some plastic surgeons complete even more years of specialized training, in addition to ongoing requirements for continuing education in order to maintain active certification. Certification by the American Board of Plastic Surgery (ABPS) requires 6-10 years of post-medical school residency and fellowship, submission of personal surgical case lists, written examination, and oral examination–stringent requirements that Dermatologists, for example, cannot meet, and prevent them from ABPS certification.
(That’s why non-plastic surgeons–doctors whose real training is in other areas–decided to create their own (non-ABMS) “board” of cosmetic surgery. Most patients have the common sense and knowledge to NOT receive cosmetic surgery from a Dermatologist or OB/Gyn doctor, however well-trained in their specialties of treating skin diseases or delivering babies. But “board-certification in cosmetic surgery”–sounds better, doesn’t it? And it’s quicker–complete training takes a plastic surgeon 6-10 years after medical school, but that “American Board of Cosmetic Surgery” certificate sure looks official, and shaves a few years off the process of putting one’s self out to the unwitting public as a “cosmetic surgeon,” regardless of actual training. (Obtain a 90210 Zip code for your office location and you’re all set!)
The reason the American Board of Medical Specialties does NOT include a Board of Cosmetic Surgery is because there is already one member Board (and only one) that certifies surgical specialists in plastic and reconstructive surgery (which INCLUDES cosmetic surgery of all areas of the body)–the American Board of Plastic Surgery.
The concern, of course, is when plastic surgery “wanna-bees” imply or suggest (sometimes quite blatantly) that they have more training or expertise than they actually possess. This is not about “turf” or “restraint of trade,” it is about ethics, honesty, and ultimately, the exact training and experience the doctor truly has. Board Certification is one way of selecting that degree of (proven by testing) training and expertise. So, look carefully in which Board your doctor claims certification!
The American Board of Plastic Surgery is the only ABMS-member board that certifies plastic surgeons in reconstructive and cosmetic surgery of the entire body. Although the non-ABMS American Board of Cosmetic Surgery certifies doctors of various specialties which include little or no training in plastic surgical procedures, “certification” requirements are considerably less than those attained by “real” ABMS-Board-certified Plastic Surgeons.
Ultimately, the prospective patient needs to know that Board-certification is important, but also needs to know whether or not the certification is ABMS-recognized or otherwise, and most importantly, in which specialty the Board certification is earned. Any surgeon who calls him or herself a plastic surgeon or “cosmetic surgeon” should be certified by the American Board of Plastic Surgery, not some “bogus” board or Board in a specialty that has little or nothing to do with plastic surgery. Board-certification is a great starting point—take the time to learn just how your cosmetic surgeon gained his or her training and experience. American Board of Plastic Surgery-certified plastic surgeons are happy to share what required so much time and dedication to learn!
Both Dr. Douglas L. Gervais and Dr. Richard H. Tholen completed full 5-year residencies in General Surgery, and both received certification by the American Board of Surgery (an ABMS member Board). They both then completed an additional two-year fellowship in Plastic and Reconstructive Surgery, and both have active certification by the American Board of Plastic Surgery (also an ABMS member Board, and the ONLY one that certifies surgeons who perform cosmetic and reconstructive surgery of the entire body). We proudly display each of our plastic surgeons’ diplomas and certificates in our office—each patient will walk past all of them on the way to our consultation rooms and on-site nationally-accredited (QUAD A, formerly AAAASF) surgical facility. Please contact us for a no-obligation consultation with our ABPS-certified and elegible plastic surgeons.